Work order =
Find "8.48187 8.91018" and "5.03561 0.10" in the block further down, and quote these two lines and those between.

Material =
=====
Record 1
109
Properties=species:S:1:pos:R:3:lowdin_charge:R:1 method="wB97M-V/def2-TZVPD" homo_lumo_gap_ev=4.032 total_energy_ev=-138707.460 lumo_energy_ev=-0.2 total_charge=-1
N 0.65406 -2.76171 1.67327 0.00
C 0.03338 -3.52126 2.77506 -0.31
C -0.27888 -4.95461 2.34804 -0.21
C -1.55677 -5.04287 1.47476 -0.27
C -1.34850 -5.94151 0.25404 -0.41
P -1.27603 -4.93487 -1.39517 0.42
S 1.04369 -5.42185 -1.54919 0.32
C -1.75626 -6.53728 -2.33973 -0.36
C -1.65420 -6.63774 -3.86156 -0.35
C -0.23870 -6.80283 -4.41515 -0.61
S -0.20576 -7.55953 -6.06238 0.69
C -1.21052 -3.81269 -2.96617 -0.38
C -1.08765 -2.35363 -2.48918 -0.37
C -2.36260 -1.81414 -1.84454 -0.56
Cl -2.98033 -0.34065 -2.71647 0.52
H 1.34394 -3.35231 1.22093 0.05
H 1.15603 -1.99177 2.09940 0.05
H -0.88817 -2.99412 3.03612 0.10
H 0.66210 -3.52600 3.67472 0.09
H -0.41476 -5.54931 3.25158 0.10
H 0.58828 -5.32786 1.80229 0.09
H -2.29333 -5.54151 2.11029 0.09
H -1.93319 -4.04922 1.22316 0.08
H -2.15574 -6.67588 0.18211 0.06
H -0.43103 -6.51896 0.33790 0.02
H -0.89495 -3.77665 -0.60947 -0.03
H -2.70319 -4.60413 -1.22335 0.01
H 1.55615 -4.18965 -1.42978 -0.27
H -1.16245 -7.36002 -1.92430 0.06
H -2.78544 -6.76548 -2.05619 0.07
H -2.13613 -7.58536 -4.13588 0.08
H -2.23266 -5.90193 -4.42088 0.09
H 0.25736 -7.53055 -3.77330 0.05
H 0.35683 -5.89892 -4.36297 0.03
H -0.60660 -6.55204 -6.84723 -0.20
H -0.34838 -3.97390 -3.60883 0.04
H -2.17199 -3.86591 -3.48234 0.07
H -0.91288 -1.76194 -3.39266 0.07
H -0.20338 -2.19865 -1.87222 0.09
H -2.11386 -1.44001 -0.85729 0.06
H -3.15380 -2.54973 -1.79764 0.05
C -4.98689 1.24489 -0.44292 -0.09
O -4.95140 1.80312 0.90046 -0.23
P -4.42840 3.32069 1.08700 0.47
O -2.95991 3.23416 1.18699 -0.24
O -5.18623 3.48316 2.51307 -0.26
C -5.31678 2.41788 3.44560 -0.11
O -4.80187 4.82661 0.67175 -0.24
C -4.32551 5.86756 1.52471 -0.10
H -5.37638 0.23458 -0.36997 0.09
H -5.64582 1.83182 -1.08249 0.09
H -3.98697 1.21104 -0.86509 0.02
H -4.36568 1.90813 3.60342 0.09
H -6.06966 1.70658 3.11152 0.08
H -5.64820 2.85286 4.38739 0.08
H -3.25419 5.77146 1.69359 0.09
H -4.86055 5.86357 2.47163 0.08
H -4.52498 6.80446 1.00841 0.09
C 0.58971 2.98954 3.06382 -0.08
O 1.16124 3.31546 4.35325 -0.26
P 2.79470 3.59062 4.44361 0.62
O 3.19428 2.15525 4.58321 -0.25
O 2.60422 4.38392 5.85271 -0.29
C 1.50498 4.18438 6.73357 -0.10
O 4.29289 4.24588 4.30477 -0.29
C 5.23849 3.93368 5.33046 -0.11
H -0.48147 2.86734 3.19537 0.08
H 0.76231 3.79522 2.35270 0.08
H 1.01325 2.05880 2.68656 0.09
H 1.32538 3.12372 6.90793 0.09
H 0.60602 4.65564 6.34170 0.08
H 1.76244 4.66439 7.67722 0.09
H 5.30594 2.85798 5.47555 0.09
H 4.97917 4.42865 6.26448 0.08
H 6.19815 4.31485 4.98554 0.10
C 8.48187 8.91018 7.67176 -0.09
O 7.10785 9.27152 7.91914 -0.23
P 5.98066 8.68582 6.90385 0.45
O 5.93133 9.62725 5.77199 -0.24
O 4.77370 8.85423 7.96073 -0.25
C 4.68289 9.94743 8.86397 -0.11
O 5.48894 7.25868 6.40533 -0.23
C 4.17483 7.18320 5.82509 -0.07
H 9.08539 9.36994 8.44923 0.09
H 8.61586 7.82956 7.71728 0.09
H 8.80147 9.28589 6.69890 0.09
H 4.84564 10.89817 8.35488 0.09
H 5.39696 9.83159 9.67777 0.08
H 3.67870 9.93636 9.28372 0.09
H 4.04744 7.92211 5.03561 0.10
H 3.41179 7.31798 6.58860 0.09
H 4.07323 6.19003 5.40126 0.04
C -1.51474 -6.50032 -12.61010 -0.09
O -1.28000 -5.11545 -12.28542 -0.23
P -1.72066 -4.60552 -10.80474 0.44
O -3.14547 -4.24638 -10.91169 -0.24
O -0.71646 -3.34425 -10.81149 -0.25
C -0.44325 -2.57676 -11.97496 -0.11
O -1.39978 -4.99107 -9.29869 -0.24
C -1.67589 -4.00708 -8.29102 -0.08
H -1.14666 -6.66616 -13.61879 0.08
H -0.97648 -7.15820 -11.92810 0.09
H -2.58270 -6.72008 -12.57618 0.09
H -1.36207 -2.30162 -12.49449 0.09
H 0.21769 -3.12257 -12.64655 0.08
H 0.06688 -1.67147 -11.65125 0.09
H -2.69621 -3.63752 -8.36759 0.09
H -0.96919 -3.18354 -8.35492 0.09
H -1.54954 -4.50086 -7.33044 0.07

=====

Record 2
18
Properties=species:S:1:pos:R:3:nbo_charge:R:1 method="wB97M-V/def2-TZVPD" homo_lumo_gap_ev=6.759 total_energy_ev=-19710.242 lumo_energy_ev=-5.7 total_charge=+1
C 1.46540 -0.62742 0.12336 0.10
=====

Reply =
C 8.48187 8.91018 7.67176 -0.09
O 7.10785 9.27152 7.91914 -0.23
P 5.98066 8.68582 6.90385 0.45
O 5.93133 9.62725 5.77199 -0.24
O 4.77370 8.85423 7.96073 -0.25
C 4.68289 9.94743 8.86397 -0.11
O 5.48894 7.25868 6.40533 -0.23
C 4.17483 7.18320 5.82509 -0.07
H 9.08539 9.36994 8.44923 0.09
H 8.61586 7.82956 7.71728 0.09
H 8.80147 9.28589 6.69890 0.09
H 4.84564 10.89817 8.35488 0.09
H 5.39696 9.83159 9.67777 0.08
H 3.67870 9.93636 9.28372 0.09
H 4.04744 7.92211 5.03561 0.10